Natalie Joly is a Councillor for the City of St. Albert. Thank you, St. Albert, for your support.

Committee of the Whole July 11, 2023

This meeting looks like it could be a long one, which is typical for our July meetings.

Procedure Bylaw Amendments

This discussion will be abound proposed amendments to out procedure bylaw, which guides how Council and Committee of the Whole meetings operate. This is mostly housekeeping, but Admin is also proposing that members of the public registering to speak must provide their contact information and information about what they are addressing prior to speaking at a meeting.

Land Use Bylaw Update

Following the approval of our new Municipal Development Plan, these are long-awaited recommended updates to our Land Use Bylaw. These are the rules that govern what is built, what kind(s) of businesses are permitted in a particular area, and all the details surrounding how land can be used.

The Land Use Bylaw update is intended to provide a comprehensive review of the document, with a
focus on increased efficiency, flexibility, and responsiveness to current conditions. The goals of the
project include the following:
1. Incorporate the policies of Flourish Municipal Development Plan;
2. Overall housekeeping, and updates; and
3. Create a web friendly document.
Administration is proposing significant changes to both land use districts, and regulations to meet
these three goals. The proposed residential changes support a modest increase in density, that can
be spread throughout the city.”

In residential areas, changes include smaller lot sizes in some areas, the addition of triplexes and fourplexes on corner lots with lane access, allowing group homes and supportive living home in most areas, and allowing two secondary suites (instead of the current one) in single-detached homes on larger lots.

We’re also considering allowing different levels of home-based businesses with small signage, and allowing businesses to have up to one non-resident employee in some of the newer neighbourhoods - or up from 2 to 4 in a small number of districts. My biggest concern is that these businesses with an employee already exist, but are staying under the radar because our bylaws don’t allow employees - I’d rather accommodate than force quiet businesses to continue to break the rules.

One of my concerns is that we’re still requiring a lot of parking for new builds - With all the research showing that minimum parking requirements are terrible in terms of cost, health, environment, etc., I’m surprised that elimination of these outdated rules isn’t being proposed like Edmonton did a few years ago.

Community gardens are being proposed as a permitted land use in many areas, and discretionary in a few! We’re also considering a new Conservation Park district to protect environmentally sensitive areas from development.

In October, Admin will be reaching out to the public to get feedback before refinements are made and the final draft is brought back to Council.

Community Amenities Site Plan($80-$110M)

When I was elected in 2017, I wanted a pool built as soon as possible in an area of St. Albert that needs recreation spaces. It took years to acquire land in a part of the city that needs aquatics, time to service the land, but now Admin is proposing a site plan for the area that will house our next aquatics centre. In addition to a pool, we’re looking at a site that will house practice ice, a gym/fitness area (which subsidizes aquatics/other uses), and a high school. Outdoors, this site is also proposed to include a long-awaited bike skills park, a spray park/social ice area, sports courts, fields, and an area for cultural events. If this concept plan is approved, next steps include technical studies, operating model assessments completed through the next couple of years. With the capital costs and future administrative costs being what they are, we will need investment-ready plans to be ready for provincial and federal grants that will make this much-needed space a reality sometime after 2024.

== What comes next are quantum chemistry results, not part of the entry ==
/*
1.
12
Properties=species:S:1:pos:R:3:lowdin_charge:R:1 method="wB97M-V/def2-TZVPD" de_lowest_kj_mol=148.8 charge=0 homo_lumo_gap_ev=9.2 lumo_ev=0.90
S -2.86 0.02 -0.01 0.716
O 0.64 -1.43 0.01 0.042
N -1.58 -1.08 0.00 -0.310
C 1.76 -0.65 -0.01 -0.131
C 0.06 0.88 0.04 -0.121
C -0.39 -0.57 0.04 -0.479
C 1.58 0.68 -0.01 -0.052
H -0.26 1.40 -0.86 0.119
H 2.34 1.43 -0.10 0.102
H -3.80 -0.95 0.04 -0.140
H -0.24 1.46 0.91 0.117
H 2.72 -1.19 -0.04 0.136



2.
137
Properties=species:S:1:pos:R:3:lowdin_charge:R:1 method="wB97M-V/def2-TZVPD" charge=-1 homo_lumo_gap_ev=4.1 lumo_ev=2.08
O -6.83 -5.14 3.26 -0.201
O 0.57 -1.53 0.74 -0.244
O 7.46 -0.93 -6.48 -0.195
O 2.83 2.33 4.36 -0.192
O -3.94 -3.19 6.58 -0.209
O -7.16 -0.57 -0.46 -0.013
O 1.88 0.44 -2.63 -0.206
O 1.22 5.52 -8.30 -0.194
N 1.95 3.44 -6.42 0.045
N 3.57 2.54 1.56 0.042
N -2.05 2.49 1.47 -0.193
N 9.99 -1.13 -7.88 0.033
N -1.42 -3.36 5.14 0.045
N -5.65 -7.40 4.64 0.036
N 4.78 0.48 -2.53 0.044
N -6.04 0.04 1.50 0.028
C -7.39 -6.51 6.10 -0.077
C -1.98 -2.05 5.53 -0.419
C 0.98 4.47 -6.04 -0.424
C 7.63 -0.69 -5.10 -0.114
C -3.91 0.46 2.96 -0.198
C -6.08 -6.21 5.39 -0.424
C -1.20 -1.53 6.74 -0.068
C -3.52 2.70 1.54 -0.394
C -3.50 -2.13 5.75 -0.203
C -0.03 5.26 -8.92 -0.112
C 3.83 2.84 5.21 -0.121
C 0.17 -1.62 2.13 -0.125
C -7.01 -2.46 1.06 -0.024
C 2.64 -0.70 -3.03 -0.201
C 10.19 0.73 -6.31 -0.078
C -0.30 0.88 0.50 -0.167
C -6.72 -0.95 0.66 -0.425
C -1.81 1.45 0.42 -0.373
C 1.16 5.75 -6.90 -0.203
C -0.29 -0.64 0.00 -0.234
C 4.24 4.63 2.63 -0.085
C 7.91 0.11 -7.33 -0.207
C -6.12 -4.96 4.48 -0.202
C 9.43 0.18 -7.52 -0.431
C 4.07 -0.39 -3.49 -0.427
C 1.38 1.22 -3.71 -0.110
C 2.22 3.29 3.51 -0.191
C 4.16 0.25 -4.88 -0.064
C -0.42 3.88 -6.09 -0.065
C -3.74 -2.99 7.97 -0.108
C -4.21 2.01 2.80 -0.230
C -8.24 -5.13 3.39 -0.116
C -4.70 -0.49 1.94 -0.220
C 3.07 3.71 2.29 -0.424
H -5.33 -6.01 6.17 0.132
H -3.90 -1.17 6.11 0.118
H 2.78 1.99 1.23 0.066
H 7.45 -0.08 -8.31 0.120
H -4.88 -1.49 2.48 0.093
H 4.60 5.13 1.72 0.071
H -3.79 2.53 3.74 0.098
H -0.84 5.85 -8.47 0.091
H 11.20 1.04 -6.60 0.074
H -6.51 -4.09 5.02 0.122
H 0.71 -0.77 2.68 0.091
H 4.80 2.84 4.70 0.069
H -2.52 0.58 0.63 0.051
H 2.11 6.20 -6.63 0.120
H -0.61 3.30 -7.00 0.065
H 1.90 3.32 -7.43 0.072
H -3.89 -1.94 8.26 0.092
H -1.86 -3.65 4.27 0.069
H 9.65 -1.80 -7.19 0.069
H -4.21 0.15 4.02 0.086
H 4.03 1.93 2.24 0.066
H 6.91 -1.30 -4.55 0.081
H 7.47 0.36 -4.84 0.093
H 9.63 0.87 -8.35 0.133
H -1.70 -0.67 7.19 0.080
H -7.86 -2.53 1.80 0.079
H 4.82 -0.01 -1.64 0.072
H -7.85 -5.60 6.50 0.078
H 3.92 2.17 6.07 0.083
H 10.32 -0.01 -5.52 0.063
H -0.57 3.19 -5.26 0.068
H -4.45 -3.61 8.51 0.084
H -1.76 -4.04 5.82 0.065
H 5.17 0.17 -5.27 0.044
H -2.79 0.23 2.87 0.090
H -0.96 -1.57 2.28 0.084
H 2.09 -1.28 -3.78 0.120
H 1.30 2.82 3.13 0.118
H -1.36 -1.05 -0.12 0.115
H 4.61 -1.34 -3.55 0.126
H -3.66 3.85 1.63 0.077
H 0.39 6.49 -6.67 0.119
H 9.57 -1.43 -8.75 0.069
H -7.22 -7.19 6.94 0.074
H 4.17 1.28 -2.34 0.071
H 5.09 4.10 3.05 0.058
H 1.08 0.60 -4.56 0.093
*/

Stormwater Management Facilities in Floodplains

I was surprised to see this item on our agenda at this time because “As the subject matter of this Agenda Report is relevant to the Public Hearing on Bylaw 1/2023, Standing Committee of the Whole may receive this item for information only. Standing Committee of the Whole ought not to direct Administration to take steps to amend the Land Use Bylaw at this point in time”. It looks like this won’t be a discussion, but rather an information session, but I’m sure our Legal folks will explain the rules when this item comes up. The drawings to explain this concept are great:

This is a brief and incomplete overview of our meetings, with my personal comments sprinkled in - In no way are my opinions representative of the official direction of council or the City of St. Albert. Please let me know of any typos or errors. Members of the public can register to speak if they have information to present to council. Full agenda packages can be found on the website.

Regular Council Meeting August 15, 2023

Regular Council Meeting July 4, 2023